The reader should type out all of the calculation results underneath exactly.

┌──
a) The following is a PBE with a Hubbard U calculation of a relaxed Ca8Ti3Mn5O21 crystal, from the Materials Project.

Unit cell a=7.807 b=7.823 c=7.880 alpha=90.00 beta=90.17 gamma=90.00
Positions (direct):
1 Ca 0.229 0.266 0.263
2 Ca 0.248 0.291 0.715
3 Ca 0.229 0.734 0.263
4 Ca 0.248 0.709 0.715
5 Ca 0.763 0.249 0.283
6 Ca 0.697 0.284 0.754
7 Ca 0.763 0.751 0.283
8 Ca 0.697 0.716 0.754
9 Ti 0.044 0.000 0.992
10 Ti 0.016 0.000 0.527
11 Ti 0.494 0.000 0.994
12 Mn 0.986 0.500 0.016
13 Mn 0.991 0.500 0.508
14 Mn 0.512 0.000 0.469
15 Mn 0.478 0.500 0.995
16 Mn 0.495 0.500 0.484
17 O 0.084 0.000 0.759
18 O 0.940 0.500 0.257
19 O 0.047 0.500 0.772
20 O 0.625 0.000 0.177
21 O 0.587 0.000 0.769
22 O 0.454 0.500 0.738
23 O 0.260 0.000 0.077
24 O 0.227 0.000 0.420
25 O 0.243 0.500 0.076
26 O 0.246 0.500 0.461
27 O 0.792 0.000 0.457
28 O 0.732 0.500 0.963
29 O 0.739 0.500 0.539
30 O 0.961 0.200 0.066
31 O 0.008 0.251 0.511
32 O 0.961 0.800 0.066
33 O 0.008 0.749 0.511
34 O 0.477 0.252 0.980
35 O 0.496 0.257 0.452
36 O 0.477 0.748 0.980
37 O 0.496 0.743 0.452


b) The following is a PBE with a Hubbard U calculation of a relaxed Ca8Ti3Mn5O21 crystal, from the Materials Project.

Unit cell a=11.150 b=15.464 c=11.122 alpha=90.04 beta=91.34 gamma=90.44
Positions (direct):
1 Ca 0.975 0.123 0.532
2 Ca 0.979 0.119 0.024
3 Ca 0.997 0.620 0.526
4 Ca 0.995 0.618 0.001
5 Ca 0.540 0.120 0.482
6 Ca 0.541 0.124 0.986
7 Ca 0.534 0.627 0.513
8 Ca 0.545 0.622 0.972
9 Ca 0.509 0.389 0.988
10 Ca 0.487 0.376 0.523
11 Ca 0.536 0.858 0.975
12 Ca 0.489 0.864 0.500
13 Ca 0.964 0.387 0.008
14 Ca 0.956 0.386 0.510
15 Ca 0.957 0.878 0.997
16 Ca 0.965 0.868 0.515
17 Ca 0.244 0.391 0.225
18 Ca 0.233 0.403 0.760
19 Ca 0.241 0.881 0.275
20 Ca 0.230 0.863 0.720
21 Ca 0.746 0.375 0.252
22 Ca 0.725 0.389 0.762
23 Ca 0.742 0.862 0.242
24 Ca 0.718 0.865 0.737
25 Ca 0.223 0.121 0.217
26 Ca 0.229 0.115 0.733
27 Ca 0.245 0.618 0.274
28 Ca 0.263 0.625 0.719
29 Ca 0.766 0.121 0.252
30 Ca 0.765 0.127 0.754
31 Ca 0.769 0.613 0.256
32 Ca 0.771 0.625 0.752
33 Ti 0.989 0.995 0.266
34 Ti 0.983 0.994 0.757
35 Ti 0.002 0.499 0.259
36 Ti 0.241 0.973 0.019
37 Ti 0.233 0.003 0.507
38 Ti 0.253 0.522 0.007
39 Ti 0.264 0.245 0.939
40 Ti 0.256 0.239 0.440
41 Ti 0.265 0.743 0.979
42 Ti 0.988 0.252 0.272
43 Ti 0.994 0.258 0.777
44 Ti 0.999 0.747 0.272
45 Mn 0.994 0.499 0.758
46 Mn 0.501 0.989 0.223
47 Mn 0.499 0.000 0.722
48 Mn 0.505 0.490 0.248
49 Mn 0.493 0.502 0.750
50 Mn 0.232 0.489 0.507
51 Mn 0.742 0.001 0.989
52 Mn 0.743 0.996 0.487
53 Mn 0.751 0.502 0.005
54 Mn 0.739 0.498 0.507
55 Mn 0.245 0.744 0.491
56 Mn 0.745 0.251 0.008
57 Mn 0.743 0.250 0.504
58 Mn 0.760 0.748 0.998
59 Mn 0.750 0.748 0.501
60 Mn 0.001 0.752 0.753
61 Mn 0.504 0.257 0.260
62 Mn 0.508 0.247 0.757
63 Mn 0.514 0.751 0.262
64 Mn 0.498 0.747 0.743
65 O 0.098 0.769 0.605
66 O 0.561 0.259 0.094
67 O 0.567 0.248 0.591
68 O 0.607 0.765 0.119
69 O 0.606 0.763 0.596
70 O 0.384 0.185 0.366
71 O 0.388 0.184 0.867
72 O 0.408 0.695 0.368
73 O 0.412 0.733 0.924
74 O 0.924 0.240 0.416
75 O 0.923 0.239 0.917
76 O 0.911 0.729 0.402
77 O 0.916 0.739 0.902
78 O 0.168 0.253 0.297
79 O 0.176 0.255 0.794
80 O 0.166 0.749 0.313
81 O 0.176 0.742 0.846
82 O 0.658 0.228 0.349
83 O 0.661 0.233 0.854
84 O 0.663 0.723 0.349
85 O 0.643 0.732 0.849
86 O 0.355 0.758 0.640
87 O 0.858 0.264 0.159
88 O 0.875 0.266 0.657
89 O 0.891 0.777 0.147
90 O 0.849 0.774 0.644
91 O 0.358 0.512 0.163
92 O 0.348 0.489 0.640
93 O 0.354 0.029 0.117
94 O 0.365 0.043 0.603
95 O 0.866 0.482 0.152
96 O 0.846 0.477 0.643
97 O 0.863 0.978 0.161
98 O 0.859 0.978 0.655
99 O 0.176 0.018 0.350
100 O 0.236 0.995 0.860
101 O 0.160 0.493 0.346
102 O 0.162 0.527 0.866
103 O 0.629 0.030 0.337
104 O 0.625 0.040 0.835
105 O 0.630 0.522 0.361
106 O 0.641 0.516 0.856
107 O 0.395 0.516 0.913
108 O 0.900 0.017 0.402
109 O 0.898 0.014 0.900
110 O 0.908 0.517 0.391
111 O 0.895 0.511 0.899
112 O 0.119 0.476 0.098
113 O 0.093 0.473 0.618
114 O 0.101 0.990 0.098
115 O 0.110 0.988 0.613
└──

a) The following is a PBE with a Hubbard U calculation of a relaxed Ca8Ti3Mn5O21 crystal, from the Materials Project.

Unit cell a=7.807 b=7.823 c=7.880 alpha=90.00 beta=90.17 gamma=90.00
Positions (direct):
1 Ca 0.229 0.266 0.263
2 Ca 0.248 0.291 0.715
3 Ca 0.229 0.734 0.263
4 Ca 0.248 0.709 0.715
5 Ca 0.763 0.249 0.283
6 Ca 0.697 0.284 0.754
7 Ca 0.763 0.751 0.283
8 Ca 0.697 0.716 0.754
9 Ti 0.044 0.000 0.992
10 Ti 0.016 0.000 0.527
11 Ti 0.494 0.000 0.994
12 Mn 0.986 0.500 0.016
13 Mn 0.991 0.500 0.508
14 Mn 0.512 0.000 0.469
15 Mn 0.478 0.500 0.995
16 Mn 0.495 0.500 0.484
17 O 0.084 0.000 0.759
18 O 0.940 0.500 0.257
19 O 0.047 0.500 0.772
20 O 0.625 0.000 0.177
21 O 0.587 0.000 0.769
22 O 0.454 0.500 0.738
23 O 0.260 0.000 0.077
24 O 0.227 0.000 0.420
25 O 0.243 0.500 0.076
26 O 0.246 0.500 0.461
27 O 0.792 0.000 0.457
28 O 0.732 0.500 0.963
29 O 0.739 0.500 0.539
30 O 0.961 0.200 0.066
31 O 0.008 0.251 0.511
32 O 0.961 0.800 0.066
33 O 0.008 0.749 0.511
34 O 0.477 0.252 0.980
35 O 0.496 0.257 0.452
36 O 0.477 0.748 0.980
37 O 0.496 0.743 0.452


b) The following is a PBE with a Hubbard U calculation of a relaxed Ca8Ti3Mn5O21 crystal, from the Materials Project.

Unit cell a=11.150 b=15.464 c=11.122 alpha=90.04 beta=91.34 gamma=90.44
Positions (direct):
1 Ca 0.975 0.123 0.532
2 Ca 0.979 0.119 0.024
3 Ca 0.997 0.620 0.526
4 Ca 0.995 0.618 0.001
5 Ca 0.540 0.120 0.482
6 Ca 0.541 0.124 0.986
7 Ca 0.534 0.627 0.513
8 Ca 0.545 0.622 0.972
9 Ca 0.509 0.389 0.988
10 Ca 0.487 0.376 0.523
11 Ca 0.536 0.858 0.975
12 Ca 0.489 0.864 0.500
13 Ca 0.964 0.387 0.008
14 Ca 0.956 0.386 0.510
15 Ca 0.957 0.878 0.997
16 Ca 0.965 0.868 0.515
17 Ca 0.244 0.391 0.225
18 Ca 0.233 0.403 0.760
19 Ca 0.241 0.881 0.275
20 Ca 0.230 0.863 0.720
21 Ca 0.746 0.375 0.252
22 Ca 0.725 0.389 0.762
23 Ca 0.742 0.862 0.242
24 Ca 0.718 0.865 0.737
25 Ca 0.223 0.121 0.217
26 Ca 0.229 0.115 0.733
27 Ca 0.245 0.618 0.274
28 Ca 0.263 0.625 0.719
29 Ca 0.766 0.121 0.252
30 Ca 0.765 0.127 0.754
31 Ca 0.769 0.613 0.256
32 Ca 0.771 0.625 0.752
33 Ti 0.989 0.995 0.266
34 Ti 0.983 0.994 0.757
35 Ti 0.002 0.499 0.259
36 Ti 0.241 0.973 0.019
37 Ti 0.233 0.003 0.507
38 Ti 0.253 0.522 0.007
39 Ti 0.264 0.245 0.939
40 Ti 0.256 0.239 0.440
41 Ti 0.265 0.743 0.979
42 Ti 0.988 0.252 0.272
43 Ti 0.994 0.258 0.777
44 Ti 0.999 0.747 0.272
45 Mn 0.994 0.499 0.758
46 Mn 0.501 0.989 0.223
47 Mn 0.499 0.000 0.722
48 Mn 0.505 0.490 0.248
49 Mn 0.493 0.502 0.750
50 Mn 0.232 0.489 0.507
51 Mn 0.742 0.001 0.989
52 Mn 0.743 0.996 0.487
53 Mn 0.751 0.502 0.005
54 Mn 0.739 0.498 0.507
55 Mn 0.245 0.744 0.491
56 Mn 0.745 0.251 0.008
57 Mn 0.743 0.250 0.504
58 Mn 0.760 0.748 0.998
59 Mn 0.750 0.748 0.501
60 Mn 0.001 0.752 0.753
61 Mn 0.504 0.257 0.260
62 Mn 0.508 0.247 0.757
63 Mn 0.514 0.751 0.262
64 Mn 0.498 0.747 0.743
65 O 0.098 0.769 0.605
66 O 0.561 0.259 0.094
67 O 0.567 0.248 0.591
68 O 0.607 0.765 0.119
69 O 0.606 0.763 0.596
70 O 0.384 0.185 0.366
71 O 0.388 0.184 0.867
72 O 0.408 0.695 0.368
73 O 0.412 0.733 0.924
74 O 0.924 0.240 0.416
75 O 0.923 0.239 0.917
76 O 0.911 0.729 0.402
77 O 0.916 0.739 0.902
78 O 0.168 0.253 0.297
79 O 0.176 0.255 0.794
80 O 0.166 0.749 0.313
81 O 0.176 0.742 0.846
82 O 0.658 0.228 0.349
83 O 0.661 0.233 0.854
84 O 0.663 0.723 0.349
85 O 0.643 0.732 0.849
86 O 0.355 0.758 0.640
87 O 0.858 0.264 0.159
88 O 0.875 0.266 0.657
89 O 0.891 0.777 0.147
90 O 0.849 0.774 0.644
91 O 0.358 0.512 0.163
92 O 0.348 0.489 0.640
93 O 0.354 0.029 0.117
94 O 0.365 0.043 0.603
95 O 0.866 0.482 0.152
96 O 0.846 0.477 0.643
97 O 0.863 0.978 0.161
98 O 0.859 0.978 0.655
99 O 0.176 0.018 0.350
100 O 0.236 0.995 0.860
101 O 0.160 0.493 0.346
102 O 0.162 0.527 0.866
103 O 0.629 0.030 0.337
104 O 0.625 0.040 0.835
105 O 0.630 0.522 0.361
106 O 0.641 0.516 0.856
107 O 0.395 0.516 0.913
108 O 0.900 0.017 0.402
109 O 0.898 0.014 0.900
110 O 0.908 0.517 0.391
111 O 0.895 0.511 0.899
112 O 0.119 0.476 0.098
113 O 0.093 0.473 0.618
114 O 0.101 0.990 0.098
115 O 0.110 0.988 0.613